Do you like Linux with all this services that you can enable on the fly when you want to test something? I know that I really like Linux boxes. But what about Cisco? Well Cisco supports also some services to be enabled for testing purposes. This are called “TCP and UDP small servers”.
Crystal structures, kept here for reference =
____________
No. 1
# K2MnB4H16 | Materials Project | PBE | relaxed
# M_tot (μB/f.u.): 5.02
# Energy of formation from the pure elements (eV per formula unit): -7.42
data_K2MnB4H16
_chemical_formula_sum 'K8 Mn4 B16 H64'
_cell_length_a 8.2404
_cell_length_b 10.2623
_cell_length_c 14.0618
_cell_angle_alpha 90.00
_cell_angle_beta 115.22
_cell_angle_gamma 90.00
_symmetry_space_group_name_H-M 'P 1 21/c 1'
_symmetry_Int_Tables_number 14
_symmetry_space_group_name_Hall '-P 2ybc'
loop_
_atom_site_label
_atom_site_fract_x
_atom_site_fract_y
_atom_site_fract_z
K1 0.0175 0.0145 0.2049
K2 0.2856 0.6434 0.0611
Mn1 0.3546 0.2125 0.0827
B1 0.1470 0.1727 0.6338
B2 0.2871 0.1514 0.4277
B3 0.2911 0.5085 0.5788
B4 0.3053 0.7254 0.3084
H1 0.0232 0.1810 0.6594
H2 0.0957 0.2245 0.5457
H3 0.1306 0.0055 0.0260
H4 0.1719 0.0719 0.4196
H5 0.1779 0.7443 0.2230
H6 0.1923 0.0607 0.6310
H7 0.2243 0.2373 0.9252
H8 0.2757 0.2339 0.6992
H9 0.2875 0.7115 0.8764
H10 0.3238 0.6096 0.3298
H11 0.3345 0.1448 0.3568
H12 0.3339 0.6192 0.6087
H13 0.3389 0.0554 0.1615
H14 0.3772 0.0276 0.0295
H15 0.4202 0.1334 0.5126
H16 0.4375 0.7312 0.7952

***

No. 2
# Zr2Al | Materials Project | PBE | relaxed
# Energy of formation from the pure elements (eV per formula unit): -0.95
data_Zr2Al
_chemical_formula_sum 'Zr8 Al4'
_cell_length_a 6.8655
_cell_length_b 6.8655
_cell_length_c 5.3792
_cell_angle_alpha 90.00
_cell_angle_beta 90.00
_cell_angle_gamma 90.00
_symmetry_space_group_name_H-M 'I 4/m c m'
_symmetry_Int_Tables_number 140
_symmetry_space_group_name_Hall '-I 4 2c'
loop_
_atom_site_label
_atom_site_fract_x
_atom_site_fract_y
_atom_site_fract_z
Zr1 0.1518 0.3482 0.0000
Al1 0.0000 0.0000 0.2500

----------

1.
Material: Na6LaTa3Si6O24
Method: DFT, PBE
State: relaxed

Raw total energy (eV/atom): -7.67
DFT formation energy (meV/atom): -3084
Calculated volume (Å³ per cell): 1104
Total moment (μB per formula unit): 0.0
Energy above the most stable polymorph in this dataset (eV/atom): 0.000

Lattice parameters (Å, degrees): 16.0156 9.1745 9.2043 90.21 125.31 90.07
Sites, in units of the cell vectors:
1 Na 0.2517 0.7505 0.0006
2 Na 0.7487 0.7507 0.4957
3 Na 0.7517 0.2505 0.0006
4 Na 0.2487 0.2507 0.4957
5 Na 0.5030 0.0861 0.7514
6 Na 0.5034 0.9016 0.2432
7 Na 0.0030 0.5861 0.7514
8 Na 0.0034 0.4016 0.2432
9 Na 0.8098 0.9202 0.2082
10 Na 0.1826 0.0751 0.7907
11 Na 0.3098 0.4202 0.2082
12 Na 0.6826 0.5751 0.7907
13 La 0.0986 0.2371 0.0597
14 La 0.5986 0.7371 0.0597
15 Ta 0.1049 0.7483 0.5586
16 Ta 0.8963 0.7550 0.9322
17 Ta 0.8937 0.2495 0.4393
18 Ta 0.6049 0.2483 0.5586
19 Ta 0.3963 0.2550 0.9322
20 Ta 0.3937 0.7495 0.4393
21 Si 0.9951 0.9458 0.7367
22 Si 0.9961 0.0399 0.2604
23 Si 0.4951 0.4458 0.7367
24 Si 0.4961 0.5399 0.2604
25 Si 0.3478 0.9022 0.7523
26 Si 0.6506 0.8988 0.7453
27 Si 0.6482 0.1214 0.2491
28 Si 0.3610 0.0963 0.2526
29 Si 0.8478 0.4022 0.7523
30 Si 0.1506 0.3988 0.7453
31 Si 0.1482 0.6214 0.2491
32 Si 0.8610 0.5963 0.2526
33 O 0.1564 0.5740 0.7173
34 O 0.8489 0.5835 0.7548
____________
Maybe I should start by telling you that there are never ending discussions about this servers, whenever they should be enabled and how to protect the access to them, since this is still an open security issue which can attract and attacker. In my opinion you cannot keep them close and also running some tests (that require certain ports to be open) in the same time, but let open access to them is not a solution either. So, what can you do, is to enable TCP and UDP small servers only when you need them for testing and then disable these services. Another solution that I see, is to let this services all the time enabled, but to use some security tools (e.g. access-lists on external ports) to reduce the amount of hosts that can access them. In this way you let them accessible only for the hosts from where you want to be. And the third solution is not to enabled them at all, but then you cannot test anything. It’s like the story when a computer is safe? When you destroy the hard-drive and look the device into a safe. Good, the computer is secure, but you cannot use it anymore, so what’s the point of doing this?
But back to our discussion, TCP and UDP small servers are servers (strange phrase, I know) that run in the router which are useful for diagnostics.
== These crystal structures were left in the entry by mistake ==
=====
Entry 1:
Computed, not measured: crystalline W2N at its relaxed geometry at the GGA-PBE level of DFT.

Cell: 2.835 2.835 17.657 Å, 90.00 90.00 120.00°
Sites, in units of the cell vectors:
W1 0.000 0.000 0.076
W2 0.000 0.000 0.924
W3 0.333 0.667 0.262
W4 0.333 0.667 0.417
W5 0.667 0.333 0.583
W6 0.667 0.333 0.738
N1 0.000 0.000 0.500
N2 0.333 0.667 0.150
N3 0.667 0.333 0.850

Calculated values
DFT total energy in eV per cell: -98.13
Space-group type: No. 164
ΔE_f in eV per formula unit: 1.183
Mass density in g/cm³: 15.47


Entry 2:
Computed, not measured: crystalline Sr2Ge2O5 at its relaxed geometry at the GGA-PBE level of DFT.

Cell: 4.033 4.033 7.302 Å, 90.00 90.00 90.00°
Sites, in units of the cell vectors:
Sr1 0.000 0.000 0.000
Sr2 0.000 0.000 0.500
Ge1 0.500 0.500 0.241
Ge2 0.500 0.500 0.759
O1 0.000 0.500 0.233
O2 0.000 0.500 0.767
O3 0.500 0.000 0.233
O4 0.500 0.000 0.767
O5 0.500 0.500 0.500

Calculated values
DFT total energy in eV per cell: -55.53
Space-group type: No. 123
ΔE_f in eV per formula unit: -21.600
Mass density in g/cm³: 5.60


Entry 3:
Computed, not measured: crystalline Li3Bi3P8O29 at its relaxed geometry at the GGA-PBE level of DFT.

Cell: 10.158 10.198 14.602 Å, 88.86 89.94 60.15°
Sites, in units of the cell vectors:
Li1 0.000 0.000 0.000
Li2 0.028 0.787 0.564
Li3 0.261 0.847 0.453
Li4 0.617 0.755 0.106
Li5 0.736 0.373 0.946
Li6 0.884 0.356 0.452
Bi1 0.384 0.638 0.252
Bi2 0.390 0.070 0.758
Bi3 0.523 0.502 0.754
Bi4 0.525 0.075 0.257
Bi5 0.957 0.638 0.759
Bi6 0.963 0.499 0.253
P1 0.038 0.290 0.844
P2 0.041 0.752 0.351
P3 0.180 0.767 0.847
P4 0.191 0.146 0.346
P5 0.265 0.990 0.158
P6 0.272 0.843 0.662
P7 0.285 0.407 0.629
P8 0.291 0.404 0.127
P9 0.623 0.732 0.880
P10 0.625 0.730 0.381
P11 0.645 0.300 0.341
P12 0.661 0.143 0.850
P13 0.726 0.995 0.661
P14 0.727 0.391 0.157
P15 0.871 0.390 0.660
P16 0.873 0.851 0.164
O1 0.038 0.747 0.851
O2 0.039 0.300 0.350
O3 0.054 0.433 0.845
O4 0.078 0.587 0.336
O5 0.146 0.564 0.660
O6 0.156 0.383 0.163
O7 0.162 0.872 0.922
O8 0.168 0.074 0.078
O9 0.170 0.846 0.747
O10 0.182 0.071 0.252
O11 0.195 0.754 0.348
O12 0.197 0.829 0.577
O13 0.199 0.146 0.849
O14 0.203 0.047 0.425
O15 0.264 0.276 0.671
O16 0.268 0.559 0.163
O17 0.277 0.991 0.662
O18 0.278 0.831 0.159
O19 0.287 0.408 0.526
O20 0.291 0.405 0.024
O21 0.320 0.184 0.337
O22 0.328 0.612 0.849
O23 0.431 0.963 0.165
O24 0.437 0.388 0.670
O25 0.437 0.710 0.676
O26 0.445 0.271 0.166
O27 0.467 0.860 0.840
O28 0.470 0.743 0.349
O29 0.478 0.431 0.332
O30 0.504 0.152 0.853
O31 0.585 0.973 0.667
O32 0.597 0.559 0.171
O33 0.623 0.733 0.484
O34 0.626 0.730 0.983
O35 0.637 0.308 0.849
O36 0.642 0.149 0.349
O37 0.644 0.859 0.334
O38 0.645 0.573 0.850
O39 0.711 0.993 0.161
O40 0.715 0.395 0.662
O41 0.718 0.322 0.070
O42 0.726 0.292 0.243
O43 0.733 0.078 0.578
O44 0.735 0.314 0.417
O45 0.737 0.072 0.754
O46 0.751 0.757 0.839
O47 0.767 0.576 0.350
O48 0.768 0.063 0.928
O49 0.840 0.553 0.677
O50 0.850 0.709 0.164
O51 0.874 0.833 0.663
=====
TCP small servers:
Echo: Echoes back whatever you type through the telnet x.x.x.x echo command.
Chargen: Generates a stream of ASCII data. Use the telnet x.x.x.x chargen command.
== Inserted here: data records ==
The following is a DFT calculation (PBE-GGA) of an optimized crystal structure of Mg3Cd. Values from VASP.

Structure (Quantum ESPRESSO input):
```
&SYSTEM
  ibrav = 0, nat = 4, ntyp = 2
/
ATOMIC_SPECIES
Mg 24.30 Mg.upf
Cd 112.41 Cd.upf
ATOMIC_POSITIONS angstrom
Mg 2.228 2.228 0.000
Mg 2.228 0.000 2.228
Mg 0.000 2.228 2.228
Cd 0.000 0.000 0.000
CELL_PARAMETERS angstrom
4.455 0.000 0.000
0.000 4.455 0.000
0.000 0.000 4.455
```

Output
Raw total energy in eV per atom: -1.487

***

The following is a DFT calculation (PBE-GGA) of an optimized crystal structure of Mg14MnCd. Values from VASP.

Structure (Quantum ESPRESSO input):
```
&SYSTEM
  ibrav = 0, nat = 16, ntyp = 3
/
ATOMIC_SPECIES
Cd 112.41 Cd.upf
Mg 24.30 Mg.upf
Mn 54.94 Mn.upf
ATOMIC_POSITIONS angstrom
Cd -1.572 4.548 1.275
Mg 4.752 0.925 8.964
Mg 3.166 1.814 1.275
Mg 1.549 0.922 8.994
Mg 1.573 4.548 6.375
Mg 3.155 3.640 3.819
Mg 3.150 1.816 6.375
Mg 0.003 1.820 6.375
Mg -0.002 3.608 3.756
Mg 1.579 4.562 1.275
Mg 4.752 0.925 3.786
Mg 1.549 0.922 3.756
Mg 3.155 3.640 8.932
Mg -0.002 3.608 8.994
Mg -1.570 4.549 6.375
Mn -0.019 1.807 1.275
CELL_PARAMETERS angstrom
6.302 0.001 0.000
-3.150 5.456 0.000
0.000 0.000 10.200
```

Output
Offset from the most stable computed form in meV/atom: 0.0

***

The following is a DFT calculation (PBE-GGA) of an optimized crystal structure of Mg14MnCd. Values from VASP.

Structure (Quantum ESPRESSO input):
```
&SYSTEM
  ibrav = 0, nat = 16, ntyp = 3
/
ATOMIC_SPECIES
Mg 24.30 Mg.upf
Cd 112.41 Cd.upf
Mn 54.94 Mn.upf
ATOMIC_POSITIONS angstrom
Mg 1.570 4.542 6.206
Mg 3.145 1.823 1.241
Mg 3.145 3.632 3.727
Mg 3.145 1.812 6.206
Mg -1.579 4.536 1.241
Mg 3.145 3.632 8.685
Mg 1.501 0.949 8.793
Mg 1.579 4.536 1.241
Mg 0.000 3.549 8.793
Mg 0.000 3.549 3.619
Mg 4.789 0.949 8.793
Mg -1.570 4.542 6.206
Mg 1.501 0.949 3.619
Mg 4.789 0.949 3.619
Cd 0.000 1.816 6.206
Mn 0.000 1.816 1.241
CELL_PARAMETERS angstrom
6.290 0.000 0.000
-3.145 5.448 0.000
0.000 0.000 9.930
```

Output
Offset from the most stable computed form in meV/atom: 72.9

***

The following is a DFT calculation (PBE-GGA) of an optimized crystal structure of Mg2CdN2. Values from VASP.

Structure (Quantum ESPRESSO input):
```
&SYSTEM
  ibrav = 0, nat = 5, ntyp = 3
/
ATOMIC_SPECIES
Mg 24.30 Mg.upf
N 14.01 N.upf
Cd 112.41 Cd.upf
ATOMIC_POSITIONS angstrom
Mg 0.985 -1.971 -0.441
Mg 4.879 -1.436 2.001
N 2.374 -0.399 -0.521
N 3.490 -3.008 2.080
Cd 2.024 -0.838 2.038
CELL_PARAMETERS angstrom
-0.724 -3.410 -0.684
2.539 1.679 -1.832
4.048 -1.676 4.075
```

Output
Offset from the most stable computed form in meV/atom: 0.0
Corrected total energy (MP2020 scheme) in eV per atom: -4.532

***

The following is a DFT calculation (PBE-GGA) of an optimized crystal structure of NaMg14Cd. Values from VASP.

Structure (Quantum ESPRESSO input):
```
&SYSTEM
  ibrav = 0, nat = 16, ntyp = 3
/
ATOMIC_SPECIES
Mg 24.30 Mg.upf
Cd 112.41 Cd.upf
Na 22.99 Na.upf
ATOMIC_POSITIONS angstrom
Mg -5.860 -0.472 5.619
Mg -4.666 4.571 3.640
Discard: Throws away whatever you type. Use the telnet x.x.x.x discard command.
Daytime: Returns system date and time, if it is correct. It is correct if you run Network Time Protocol (NTP), or have set the date and time manually from the exec level. Use the telnet x.x.x.x daytime command.
UDP small servers:
Echo: Echoes the payload of the datagram you send.
Discard: Silently pitches the datagram you send.
Chargen: Pitches the datagram you send, and responds with a 72-character string of ASCII characters terminated with a CR+LF.
In addition to the one above, the Cisco devices also offers finger service and async line bootp service, which you can independently turn on / off.
For this presentation I will use 2 point-to-point connected routers named RT-TEST-CLIENT ( /30) and RT-SERVERS-ENABLE ( /30). I will enable TCP and UDP small servers on one of them and test from the other one. Please click the image below to see the video presentation:
If you cannot see the Flash movie above please consult this text document which explain how to enable TCP / UDP small server and how to test them.
Very good explanation with video. Excellent
How do u stop the chargen message in order to get back to the Global configuration mode of the router